Sunday, February 28, 2010

pre pre-party is the best party

Susanne, Fanny and me

It's funny sometimes how the simpliest things can be the most fun ones. One of the nightclubs in Norrköping had some of Swedens top artists DJ:ing yesterday. Me, Susanne and Fanny decided to meet for some drinks before going to the pre-party. The thing is just that we ended up quite late at Fanny's place and got to the pre-party just an hour before everyone was leaving for the night club. Anyway i think we had more fun before and in the line for the night club me and Fanny decided to go home or acctually to an other bar which ended up at her place with tea and chocolate. God, i'll miss these two girls when i move.

Saturday, February 27, 2010

Food for a student...

I'm so bad at living on a budget when it comes to food... I'm cutting down on my clothes-, transport-, drinks- and furniture expenses but my food expenses is mych higher then it should be. I just can't live on noodles and tuna, i need avocado, feta cheese, cashew nuts and salmon.

Friday, February 26, 2010

Project work all weekend long...

Karin is writing about our work

Madde is doing photo editing

Malin is the illustrator - and a really good one!

9am - 5pm today and probably the same tomorrow and Sunday. We're working on our poster for one of the biggest banks in Sweden. The winner gets money and posters all over the country.

Wednesday, February 24, 2010

Looking brighter

Soup is good for bad throats!

Feeling much better today! Even though we had business administration classes the whole day we had alot of fun as alot of it was improvising infront of judges how to market a new product. Then we went to celebrate my birthday as there was no time yesterday. Oh and the sun was shining!

Tuesday, February 23, 2010

happy birthday to me!

Traditional birthday cake

Celebrated a pretty boring birthday to be honest. Me and my projectgroup spend 6h on preparing and travelling back and forward to a 45min meeting in Linköping today. No gifts today=( My parents gift was the Stockholm trip which was great and tons of friends have send their greetings. Skyped with Philip from Egypt which was one of the highlights of the day. I guess 24 isn't that big of a number...

Monday, February 22, 2010

To be sick sucks

All you need right?

I don't like spending days inside without doing anything. My head feels to thick even for reading. I went to the pharmacy today and they could barely hear what i said. Susanne is going training now, oh i want to go too...

Stop Sharkfinning!

One of the posters

All 3 posters

A flyer

This is what my group came up with when we got the assignement to do a poster and a flyer for (against) sharkfinning. We thought people woudn't really care so much for the sharks and instead of showing how they are slowly dying when people cut of their finn we showed dogs and cats slowly dying by the same procudure. My group are doing the presentation right now as i'm lying in bed feeling sorry for myself. I hate being sick especially when there's no one to take care of me...

Sunday, February 21, 2010

fun and not so fun times

The 3 of us in Texas almost exactly a year ago

I had a really nice stay in Stockhom with my parents. We went to a couple of museums and me and my mum watched a movie called An education which was really good. We also met up with my friend Emma who workes for IKEA in Stockhom. It was great seeing her again, hopefully she'll visit me here before i leave.
But (there always has to be one) it was a snow storm in almost the whole country yesterday and a lot of trains got cancelled or delayed. Mine was just 1h late but we had to stand outside in the snowstorm waiting. Then another 30 min in Norrköping waiting for the bus. I've been feeling abit bad in my throat and chest during both Thursday and Friday and beeing outside in the snow made me really sick. I was suppose to be in school right now but i'm feeling awful. So tea and honey and bed is on the schedule for me today.

Thursday, February 18, 2010


Pic from 2008

We were supposed to go out tonight but as usual me and Fanny ended up at her place talking over tea and chocolate. It was probably good anyway as I'm going to Stockholm to see me parents tomorrow. It's going to be nice seeing them again and to discuss all the decisions i'm about to make.

Tuesday, February 16, 2010

A trip down memory lane...

Found these photos from 5 years ago. They are of me and the most important people for me at that time...

A 19 year old me

Marc 14 year old - the cutest brother ever

Kikki made my high school years ten times better...

...allong with Emma - what would i have done with out you two?!

Kikki and my beloved brother Philip

Joey - love this girl, best high jumper companion ever!

Distance never made a difference, i always had a blast with Sanna

I've had lot of great times with Jojo which i met autumn 2005, just after finishing high school

Isa and Marc - during one of mine and Marc's many sunbathing afternoons on the balcony

A lot of things will happen during 5 years...

Monday, February 15, 2010

feeling light

I hate to make desicions and i'm very indecisive. But there has been something bothering me for a very long time now and this weekend i finally made up my mind about it. It's been a hard decision but i feel very good about it. I acctually think i felt a little bit lighter today...

Sunday, February 14, 2010

Rockabilly style

We had a fun night yesterday. Both the preparty and the club was great which isn't to common. I'm tired now but need to study some economics. All good things always comes to an end...

Saturday, February 13, 2010

Yeeey for a none schoolwork day

Coffee at Kuriosa

Jojo is here and we're about to getting dressed for a rockabilly party. A day with a good friend without any school work is just what i needed today!

Thursday, February 11, 2010

Congrats Eileen!

Chris mum Eileen's birthday is today and i wish her a really good one. Last year we cooked for her the whole day and played Tennis together. Which, by thinking of it, really makes me realize how quick time has gone...In 2 weeks my birthday is coming up. I'm going to be 24 which suddenly seems to be alot as i'm surrounded by 19 year olds (almost). It's weird because i've been one of the youngest while travelling. Age is really just a number on a paper and what matters is how you are as a person.

Looong school day

Susanne and Fanny

Just got home after 12,5h is school. Me, Susanne and Fanny worked on our business project untill 8:30 pm...To be honest we had a pretty good time especially as we got tired and giggly as our candy sugar rush kicked in. But man, I'm tired now.

Wednesday, February 10, 2010


Instead of going training after school as i planned i had a coffee with Susanne and Elsa and then i bought some candy...But after 9h in school i so needed that sugar rush. I will get back in shape for spring instead =)

Tired, me? no...

Think i slept 4-5h this night. I don't know why but this week seems to be one of those weeks i just have problems to sleep at night. For Chris that's pretty much every night but I'm used to sleep from the moment i put my head on the pillow to the moment my alarm clook rings. This morning it rang at 7, abit to early for me but there's alot of things going on in school right now. Think i have about 4 projects with different groups which all need their meetings...

Monday, February 8, 2010

Not cool

Having class until 6:30 pm is not fun especially not on a Monday. If there was any sun today, i didn't notice. This snow has about 3 weeks until it has to be gone so the spring can arrive. Spring, spring, spring can't wait until i can lay in the grass eating cookies and saoking in the sun...

Sunday, February 7, 2010

Just remembered...'s my dad's birthday today! Love this photo of my dad (and mum). It's taken on one of the islands just outside Strömstad. My dad have taught me that you don't have to do much to enjoy life. Just take a trip with the boat after work, soaking the sun and enjoy the life you have right now.

Grey sunday

Business administration the whole day. Superfun. Yesterday evening was great so i guess i just have to suck it up now...It's not very fun weather outside either. Think this day was ment for school work and laundry.

Saturday, February 6, 2010

Once upon a time...

Malaga 2005

...i was a highjumper beilive it or not! I was thinking of it today as it's almost exactly 6 years ago i jumped my personal best at a competition (i jumped higher on a training 1 year after). That was also about the time i got my big injury. It took me a year (and alot of tears) to get passed that problem. I have no idea how many hours i spend training rehab, swimming etc.
This photo was taken when me and my friend Johanna joined Johnny and Stefan Holm (won the olympic gold medal in the olympics 2004) on a training camp in Spain, May 2005. I was in my best shape ever and thought that i finally had overcome my injury. Sadly my first competition after the come back ended in tears once again. This time it was my back. I took a break short after that. I never started again.

Thursday, February 4, 2010

rendez vous

Summer 2008

Jojo is going to visit me next weekend! I'm so excited! She acctually visited me in Texas last year and we had such a great time driving around Texas and New Mexico. Last time i saw her was in July when she came to Strömstad and then we've been trying to meet up during the autumn but there has always been something coming in our way...But this time i hope we gonna make it!

Upgrading my English

Picture of the working museum taken on Saturday

Today i applied for studying English efter Easter. It's not a part of my program but i think it would be pretty useful anyway. Or acctually i think the course i can take next year, advanced English, will be useful but that course require that i study this one now. Me and Chris will most likely move to the US at some point and i think it could be a huge advantage if i know how to write properly. I often notice that my written English isn't great but i'm not capable of knowing just how to fix it. Hopefully you'll notice a change in my writing here after that course.

Wednesday, February 3, 2010

**Misplaced materials data:**
/*
Structure and computed powder diffractogram of Rb2Co4O7 (a cell relaxed with PBE+U; Cu Kα (λ = 1.5418 Å)).

Structural model:
Lattice parameters (Å, degrees): 5.1013 8.7869 6.8079 90.00 90.89 90.00
Space group C2/m (No. 12)
Symmetry-distinct sites (fractional):
Rb 0.0000 0.1670 0.0000 x4
Co 0.0000 0.1679 0.5000 x4
Co 0.0008 0.5000 0.7228 x4
O 0.0000 0.5000 0.0000 x2
O 0.1442 0.0000 0.6522 x4
O 0.1821 0.3209 0.6523 x8

Peak list (10 most intense, 2θ from 15° to 90°, most intense first)
hkl	2θ/deg	I_rel
1 3 0	35.34	100
2 0 0	35.19	49
0 2 2	33.30	48
1 1 -2	33.02	47
1 1 2	33.47	46
1 3 2	44.69	31
3 3 0	63.24	29
1 5 2	62.33	23
1 3 -4	65.82	22
0 0 2	26.18	19

~~~~~

# CaLaFe2O6
Computed powder diffraction line list, λ = 1.5418 Å (Cu Kα). Input: a cell relaxed with PBE+U.
Lines closer than 0.1° are merged.

Crystal structure
```
data_CaLaFe2O6
_chemical_formula_sum 'Ca2 La2 Fe4 O12'
_symmetry_space_group_name_H-M 'P m n 21'
_symmetry_Int_Tables_number 31
_cell_length_a 7.7872
_cell_length_b 5.5433
_cell_length_c 5.4930
_cell_angle_alpha 90.00
_cell_angle_beta 90.00
_cell_angle_gamma 90.00
loop_
_symmetry_equiv_pos_as_xyz
'x,y,z'
'-x+1/2,-y,z+1/2'
'-x,y,z'
'x+1/2,-y,z+1/2'
loop_
_atom_site_label
_atom_site_fract_x
_atom_site_fract_y
_atom_site_fract_z
Ca1 0.0000 0.2074 0.0000
La1 0.0000 0.7170 0.5159
Fe1 0.2494 0.2497 0.5096
O1 0.0000 0.2653 0.4303
O2 0.0000 0.7686 0.0795
O3 0.2085 0.4618 0.7974
O4 0.2124 0.9659 0.7260
```
*/
**Back to the article:**

yeeey for snow storm!

It was a struggle getting to school at 8am this morning. I cursed the snow storm which made me walk on an unploughed road without seeing anything. This was also the day i had 4 hours of business administration between 1 and 5 pm. But luckely for us the teaches got stuck in the snow storm and couldn't get to our class! We still had alot of things to be done but doing it in comfortable chairs with coffee, chocolate and with good company was a much better way to end this day.

Monday, February 1, 2010

New Zealand top 10

1. The tongariro crossing, North island

2. The routeburn track, South island

3. Trekking up Ben Lomond, Queenstown, South island

4. Champagne pool in Wai-o-tapo thermalpark outside Rotoroa, North island

5. Wellington, North island

6. Lake tekapo, South island

7. Cathedral cove,Coromandel, North island

8. West coast, South island

9. Nevi's bungyjump (2nd highest in the world), South island

10. Sailing outside Pahia, North island

My dad asked me to write down my favourite places in New Zealand as one of his co-workers were about to travel there very soon. I loved New Zealand from the moment i stepped out of the plain to the moment i left 9 month later. New Zealand has everything you need in one country. Dessert, fiordlands, beaches, wine yards, great trekking, lot's of activities, culture...
This was my top 10 list of New Zealand but could have made it alot longer.